Work order:
Say how many lines of the data further down hold the word "calculated", as a bare number.

Listing:
=====
No. 1
Below is an optimized crystal structure of MgPaBiPb, with properties calculated at the PBE level.

Calculated values
* ΔE_f: -44 kJ/mol of formula units
* excess energy over the best structure of this formula in the dataset: 0.0 meV per atom

abc: 4.224 5.009 5.055
angles: 90.00 90.00 90.00
Atoms (fractional coordinates):
Mg 0.500 0.000 0.500
Pa 0.500 0.500 0.000
Bi 0.000 0.000 0.000
Pb 0.000 0.500 0.500

No. 2
Below is an optimized crystal structure of MgPaSnBi, with properties calculated at the PBE level.

Calculated values
* ΔE_f: -1 kJ/mol of formula units

abc: 5.317 5.317 5.317
angles: 60.00 60.00 60.00
Atoms (fractional coordinates):
Mg 0.500 0.500 0.500
Pa 0.000 0.000 0.000
Bi 0.750 0.750 0.750
Sn 0.250 0.250 0.250

No. 3
Below is an optimized crystal structure of MgBiPb, with properties calculated at the PBE level.

Calculated values
* ΔE_f: 5 kJ/mol of formula units

abc: 3.425 5.467 5.467
angles: 120.00 90.00 90.00
Atoms (fractional coordinates):
Pb 0.986 0.000 0.000
Mg 0.467 0.333 0.667
Bi 0.547 0.667 0.333

No. 4
Below is an optimized crystal structure of MgBi3Pb3, with properties calculated at the PBE level.

Calculated values
* ΔE_f: 36 kJ/mol of formula units

abc: 6.826 6.826 11.220
angles: 89.99 89.99 61.96
Atoms (fractional coordinates):
Mg 0.251 0.251 0.000
Mg 0.749 0.749 0.000
Bi 0.000 0.000 0.749
Bi 0.500 0.000 0.230
Bi 0.000 0.500 0.230
Bi 0.500 0.000 0.770
Bi 0.000 0.500 0.770
Bi 0.000 0.000 0.251
Pb 0.253 0.253 0.500
Pb 0.252 0.748 0.500
Pb 0.748 0.252 0.500
Pb 0.258 0.742 0.000
Pb 0.742 0.258 0.000
Pb 0.747 0.747 0.500

No. 5
Below is an optimized crystal structure of Mg3Bi4Pb2, with properties calculated at the PBE level.

Calculated values
* ΔE_f: -34 kJ/mol of formula units

abc: 8.824 8.716 9.240
angles: 90.00 90.00 128.08
Atoms (fractional coordinates):
Mg 0.000 0.500 0.500
Mg 0.500 0.500 0.000
Mg 0.784 0.317 0.910
Mg 0.716 0.683 0.410
Mg 0.216 0.683 0.090
Mg 0.284 0.317 0.590
Bi 0.813 0.061 0.519
Bi 0.687 0.939 0.019
Bi 0.187 0.939 0.481
Bi 0.313 0.061 0.981
Bi 0.818 0.535 0.173
Bi 0.682 0.465 0.673
Bi 0.182 0.465 0.827
Bi 0.318 0.535 0.327
Pb 0.559 0.096 0.283
Pb 0.941 0.904 0.783
Pb 0.441 0.904 0.717
Pb 0.059 0.096 0.217

No. 6
Below is an optimized crystal structure of Mg6BiPb2, with properties calculated at the PBE level.

Calculated values
* ΔE_f: -46 kJ/mol of formula units
* excess energy over the best structure of this formula in the dataset: 0.0 meV per atom

abc: 5.727 9.163 9.163
angles: 74.58 81.76 81.76
Atoms (fractional coordinates):
Mg 0.474 0.683 0.426
Mg 0.026 0.574 0.317
Mg 0.526 0.317 0.574
Mg 0.974 0.426 0.683
Mg 0.641 0.094 0.352
Mg 0.859 0.648 0.906
Mg 0.359 0.906 0.648
Mg 0.141 0.352 0.094
Mg 0.309 0.759 0.018
Mg 0.191 0.982 0.241
Mg 0.691 0.241 0.982
Mg 0.809 0.018 0.759
Bi 0.250 0.123 0.877
Bi 0.750 0.877 0.123
Pb 0.415 0.548 0.788
Pb 0.085 0.212 0.452
Pb 0.585 0.452 0.212
Pb 0.915 0.788 0.548

No. 7
Below is an optimized crystal structure of Mg2BiPb, with properties calculated at the PBE level.

Calculated values
* ΔE_f: -29 kJ/mol of formula units
* excess energy over the best structure of this formula in the dataset: 3.1 meV per atom

abc: 4.358 4.749 11.533
angles: 90.00 115.59 90.00
Atoms (fractional coordinates):
Mg 0.650 0.750 0.628
Mg 0.350 0.250 0.372
Mg 0.089 0.750 0.133
Mg 0.911 0.250 0.867
Bi 0.569 0.250 0.127
Bi 0.431 0.750 0.873
Pb 0.146 0.250 0.621
Pb 0.854 0.750 0.379

No. 8
Below is an optimized crystal structure of MgBi6Pb12, with properties calculated at the PBE level.

Calculated values
* ΔE_f: 86 kJ/mol of formula units

abc: 9.083 9.083 9.083
angles: 68.50 68.50 68.50
Atoms (fractional coordinates):
Mg 0.000 0.000 0.000
Bi 0.124 0.124 0.594
Bi 0.876 0.406 0.876
Bi 0.406 0.876 0.876
Bi 0.876 0.876 0.406
Bi 0.124 0.594 0.124
Bi 0.594 0.124 0.124
Pb 0.509 0.174 0.509
Pb 0.174 0.509 0.509
Pb 0.509 0.509 0.174
Pb 0.491 0.826 0.491
Pb 0.826 0.491 0.491
Pb 0.491 0.491 0.826
Pb 0.075 0.742 0.743
Pb 0.257 0.925 0.258
Pb 0.258 0.257 0.925
=====

Reply:
8